What to do:
Give back every line below that contains the word "per".

Entries:
____________
Record 1
This record from Materials Project describes a relaxed structure of Cr6O11. The functional is meta-GGA r2SCAN.

Output
- total energy (eV/atom) = -11.436
- total moment (μB per formula unit) = 14.0

a = 5.336 Å, b = 6.931 Å, c = 9.383 Å
α = 89.64°, β = 81.10°, γ = 72.27°
Positions (direct):
Cr  0.173  0.307  0.061
Cr  0.181  0.808  0.060
Cr  0.229  0.360  0.414
Cr  0.231  0.860  0.413
Cr  0.309  0.431  0.759
Cr  0.314  0.923  0.760
Cr  0.686  0.077  0.240
Cr  0.691  0.569  0.241
Cr  0.769  0.140  0.587
Cr  0.771  0.640  0.586
Cr  0.819  0.192  0.940
Cr  0.827  0.693  0.939
O  0.014  0.092  0.112
O  0.054  0.424  0.248
O  0.099  0.640  0.473
O  0.124  0.983  0.604
O  0.181  0.207  0.853
O  0.215  0.545  0.965
O  0.341  0.738  0.220
O  0.360  0.079  0.351
O  0.409  0.301  0.576
O  0.439  0.643  0.699
O  0.474  0.834  0.931
O  0.526  0.166  0.069
O  0.561  0.357  0.301
O  0.591  0.699  0.424
O  0.640  0.921  0.649
O  0.659  0.262  0.780
O  0.785  0.455  0.035
O  0.819  0.793  0.147
O  0.876  0.017  0.396
O  0.901  0.360  0.527
O  0.946  0.576  0.752
O  0.986  0.908  0.888

***

Record 2
This record from Materials Project describes a relaxed structure of ThCl4. The functional is meta-GGA r2SCAN.

Output
- total energy (eV/atom) = -22.027
- total moment (μB per formula unit) = 0.0

a = 7.132 Å, b = 7.132 Å, c = 7.132 Å
α = 106.51°, β = 106.51°, γ = 115.58°
Positions (direct):
Th  0.375  0.625  0.750
Th  0.625  0.375  0.250
Cl  0.135  0.698  0.437
Cl  0.239  0.302  0.937
Cl  0.302  0.239  0.437
Cl  0.302  0.865  0.063
Cl  0.698  0.135  0.937
Cl  0.698  0.761  0.563
Cl  0.761  0.698  0.063
Cl  0.865  0.302  0.563

***

Record 3
This record from Materials Project describes a relaxed structure of Yb3Cr. The functional is meta-GGA r2SCAN.

Output
- total energy (eV/atom) = -30.981
- total moment (μB per formula unit) = 3.0

a = 5.242 Å, b = 5.242 Å, c = 5.242 Å
α = 119.71°, β = 119.71°, γ = 90.50°
Positions (direct):
Yb  0.000  0.000  0.000
Yb  0.250  0.750  0.500
Yb  0.750  0.250  0.500
Cr  0.500  0.500  0.000

***

Record 4
This record from Materials Project describes a relaxed structure of LiPb. The functional is meta-GGA r2SCAN.

Output
- total energy (eV/atom) = -29.661
- total moment (μB per formula unit) = 0.0

a = 3.526 Å, b = 3.526 Å, c = 3.526 Å
α = 90.00°, β = 90.00°, γ = 90.00°
Positions (direct):
Li  0.000  0.000  0.000
Pb  0.500  0.500  0.500

***

Record 5
This record from Materials Project describes a relaxed structure of YbBi2C. The functional is meta-GGA r2SCAN.

Output
- total energy (eV/atom) = -40.219
- total moment (μB per formula unit) = 0.0

a = 10.667 Å, b = 10.667 Å, c = 6.633 Å
α = 90.00°, β = 90.00°, γ = 90.00°
Positions (direct):
Yb  0.168  0.332  0.250
Yb  0.168  0.332  0.750
Yb  0.332  0.832  0.250
Yb  0.332  0.832  0.750
Yb  0.668  0.168  0.250
Yb  0.668  0.168  0.750
Yb  0.832  0.668  0.250
Yb  0.832  0.668  0.750
Bi  0.083  0.114  0.000
Bi  0.096  0.612  0.000
Bi  0.112  0.596  0.500
Bi  0.114  0.917  0.500
Bi  0.386  0.417  0.500
Bi  0.388  0.096  0.500
Bi  0.404  0.112  0.000
Bi  0.417  0.614  0.000
Bi  0.583  0.386  0.000
Bi  0.596  0.888  0.000
Bi  0.612  0.904  0.500
Bi  0.614  0.583  0.500
Bi  0.886  0.083  0.500
Bi  0.888  0.404  0.500
Bi  0.904  0.388  0.000
Bi  0.917  0.886  0.000
C  0.097  0.148  0.500
C  0.148  0.903  0.000
C  0.352  0.403  0.000
C  0.403  0.648  0.500
C  0.597  0.352  0.500
C  0.648  0.597  0.000
C  0.852  0.097  0.000
C  0.903  0.852  0.500

***

Record 6
This record from Materials Project describes a relaxed structure of TiSiRh. The functional is meta-GGA r2SCAN.

Output
- total energy (eV/atom) = -16.302
- total moment (μB per formula unit) = 0.0

a = 6.263 Å, b = 3.803 Å, c = 7.226 Å
α = 90.00°, β = 90.00°, γ = 90.00°
Positions (direct):
Ti  0.024  0.250  0.183
Ti  0.476  0.750  0.683
Ti  0.524  0.250  0.317
Ti  0.976  0.750  0.817
Si  0.231  0.750  0.379
Si  0.269  0.250  0.879
Si  0.731  0.750  0.121
Si  0.769  0.250  0.621
Rh  0.152  0.250  0.565
____________

Here it is:
- total moment (μB per formula unit) = 14.0
- total moment (μB per formula unit) = 0.0
- total moment (μB per formula unit) = 3.0
- total moment (μB per formula unit) = 0.0
- total moment (μB per formula unit) = 0.0
- total moment (μB per formula unit) = 0.0